APP pump instruction
APP pumps
APP 0.6-1.0 / APP 1.5-2.5 / APP 3.0-3.5
APP 0.6-1.0, APP 1.5-2.5 and
APP 3.0-3.5

Instruction | APP pump instruction APP 0.6-1.0, APP 1.5-2.5 and APP 3.0-3.5
Table of Contents
1. Identification ...........................................................................3
2. System design ..........................................................................3
2.1 Open-ended systems with water supply from a tank . . . . . . . . . . . . . . . . . . . . . . . . . . . . . . . . . . . . .3
2.2 Open-ended systems with direct water supply...........................................3
2.3 Problems with reversing pumps . . . . . . . . . . . . . . . . . . . . . . . . . . . . . . . . . . . . . . . . . . . . . . . . . . . . . . . . . 3
2.4 General guidelines for calculation of pressure losses .....................................4
2.5 General comments on...................................................................4
3. Building up the pump unit ..............................................................5
3.1 Mounting...............................................................................5
3.2 Direction of rotation ....................................................................5
3.3 Orientation .............................................................................6
3.4 Protection from too high pressures ......................................................6
3.5 Connections ............................................................................6
4. Initial start-up ...........................................................................7
5. Operation...............................................................................7
5.1 Temperature ............................................................................7
5.2 Pressure ................................................................................7
5.3 Dry running.............................................................................7
5.4 Disconnection ..........................................................................7
5.5 Storage .................................................................................7
5.5.1 Open-ended systems with water supply from tank.......................................7
5.5.2 Open-ended systems with direct water supply...........................................8
6. Service..................................................................................8
6.1 Periodic maintenance . . . . . . . . . . . . . . . . . . . . . . . . . . . . . . . . . . . . . . . . . . . . . . . . . . . . . . . . . . . . . . . . . . .8
6.2 Repair ..................................................................................8
180R9065 | 521B0733 | DKCFN.PI.013.C9.02 | 11.2019

Instruction | APP pump instruction APP 0.6-1.0, APP 1.5-2.5 and APP 3.0-3.5
1. Identification
Type APP 0.6
Code no. 180BXXXX
Serial no. XXXXXX02-XXX
Danfoss A/S, 6430 Nordborg, Denmark
2. System design 2.2 Open-ended systems with direct water
The design of the system must ensure that self
emptying of the pump during standstill is
The pump is supplied with water direct from a
booster pump.
The inlet pressure of the pump must never
exceed the outlet pressure. This may typically
occur in boosted or open-ended systems with
The water pressure must not exceed 5 barg
(72.5 psig).
direct water supply.
In order to avoid this it is recommended to install
a pre-stressed check valve or a pressure switch in
the pump inlet.
The opening pressure of the check valve must be
bigger or equal to the inlet pressure.
2.1 Open-ended systems with water supply
from a tank
(The numbers 1-3 refer to the drawing below.)
In order to eliminate the risk of cavitation,
5 barg
[72.5 psig]
observe the following guidelines:
1) Place the tank above the pump (water level
in the tank should always be above the
2.3 Problems with reversing pumps
If exposed to high pressure in the outlet while
2) Place the inlet lter before the tank.
the electric motor is not energized, the pumps
will start spinning backwards. This will not harm
3) Dimension the inlet line to obtain mini-
mum pressure loss (large ow area,
the pumps as long as the pressure in the inlet
does not exceed the max. pressure of 5 barg.
minimum pipe length, minimum number
== Inserted here: data records ==
Entry 1:
# C37H57BN6O7P3TaTe

A structure of composition C37H57BN6O7P3TaTe at a distorted geometry (the ωB97M-V functional and the def2-TZVPD basis, the OMol25 dataset).

Total charge   0
Relative energy (zero: lowest compared OMol25 entry of this formula, charge and spin)   13.5 kcal/mol
Highest occupied orbital energy   -7.87 eV
Energy   -3673.5118 Ha
LUMO level   -1.256 eV

CARTESIAN COORDINATES (ANGSTROEM)
Ta -0.024 -0.078 -0.163
C -2.727 4.453 -2.358
C -2.437 3.509 -1.192
C -3.427 2.340 -1.244
C -2.610 4.245 0.142
P -0.721 2.716 -1.201
C -0.515 2.361 -3.013
N 0.277 1.175 -3.212
B 0.560 0.100 -2.301
N 1.226 -0.881 -3.108
C 1.640 -2.220 -2.767
P 1.363 -2.535 -0.954
C 3.119 -2.617 -0.263
C 3.884 -3.889 -0.617
C 3.872 -1.402 -0.816
C 2.994 -2.473 1.261
C 0.545 -4.237 -0.994
C 1.221 -5.262 -1.906
C 0.458 -4.779 0.437
C -0.877 -3.980 -1.512
C 1.351 -0.418 -4.412
C 1.906 -1.002 -5.539
C 1.848 -0.294 -6.734
C 1.251 0.960 -6.803
C 0.694 1.550 -5.675
C 0.755 0.853 -4.480
C 0.611 4.035 -0.944
C 0.743 4.261 0.567
C 0.373 5.371 -1.642
C 1.914 3.430 -1.488
H -3.757 4.804 -2.258
H -2.649 3.954 -3.324
H -2.077 5.325 -2.365
H -4.446 2.711 -1.105
H -3.227 1.606 -0.460
H -3.400 1.833 -2.208
H -3.671 4.441 0.320
H -2.096 5.206 0.143
H -2.233 3.646 0.975
H -0.055 3.221 -3.507
H -1.506 2.221 -3.456
H 2.695 -2.372 -3.008
H 1.061 -2.935 -3.357
H 3.867 -4.087 -1.690
H 3.491 -4.757 -0.089
H 4.927 -3.763 -0.316
H 4.203 -1.548 -1.845
H 4.763 -1.216 -0.214
H 3.256 -0.504 -0.784
H 2.455 -3.310 1.706
H 2.465 -1.552 1.514
H 3.989 -2.432 1.711
H 2.164 -5.618 -1.500
H 1.393 -4.887 -2.915
H 0.553 -6.123 -1.986
H 1.437 -5.076 0.814
H -0.185 -5.661 0.454
H 0.029 -4.036 1.114
H -0.883 -3.535 -2.510
H -1.428 -3.326 -0.842
H -1.427 -4.922 -1.568
H 2.369 -1.980 -5.502
H 2.274 -0.730 -7.628
H 1.214 1.482 -7.749
H 0.220 2.522 -5.733
H -0.066 4.875 0.963
H 1.686 4.766 0.791
H 0.734 3.312 1.098
H -0.449 5.929 -1.194
H 0.187 5.253 -2.711
H 1.274 5.980 -1.530
H 2.059 2.403 -1.160
H 2.764 4.019 -1.137
H 1.936 3.436 -2.579
O -5.764 -3.214 -1.913
C -6.058 -2.082 -1.458
O -7.097 -1.484 -1.231
C -4.652 -1.513 -1.183
C -3.910 -0.933 -2.230
C -2.588 -0.640 -2.051
N -1.931 -0.866 -0.892
C -2.619 -1.514 0.084
C -3.944 -1.833 -0.011
C -1.785 -1.938 1.265
O -2.267 -2.591 2.161
O -0.521 -1.597 1.179
H -4.393 -0.717 -3.173
H -1.999 -0.194 -2.846
H -4.419 -2.353 0.809
N 1.554 0.658 0.487
C 2.385 1.215 1.303
N 3.590 1.634 1.316
C 4.449 1.605 0.313
N 5.274 1.637 -0.498
C -1.587 -1.764 5.259
C -0.828 -0.554 4.762
O -1.381 -0.143 3.488
P -0.847 1.127 2.707
O -1.335 1.051 1.277
Te 1.454 1.640 3.296
O -1.499 2.383 3.439
C -2.907 2.568 3.738
C -3.877 1.794 2.863
H -1.021 -2.241 6.059
H -1.720 -2.467 4.439
H -2.571 -1.484 5.635
H 0.227 -0.796 4.628
H -0.899 0.283 5.465
H -3.066 3.641 3.633
H -3.053 2.299 4.785
H -3.823 2.113 1.823
H -4.888 1.975 3.227
H -3.677 0.724 2.911

=====

Entry 2:
# C37H57F3O17S2
of bends/connections, ttings with small
pressure losses).
If a non-return valve is mounted in the inlet line,
a low-pressure relief valve will also be required.
Alternatively a high-pressure check valve could
be mounted in the pump discharge line to
prevent the pump from reversing.
180R9065 | 521B0733 | DKCFN.PI.013.C9.02 | 11.2019
The dotted setup ensures that the inlet pressure
does not exceed the 5 barg, when a non- return
valve is mounted in the inlet.